Could you give back the material underneath from the first line to the one with "angles: 65.81" character by character?

........
1.
Here is CrAu3 after structural relaxation from the Alexandria database. Energies are from GGA-PBEsol.

Cell: 4.532 4.532 4.532 Å, 60.00 60.00 60.00°
Sites, in units of the cell vectors:
Cr 0.000 0.000 0.000
Au 0.250 0.250 0.250
Au 0.500 0.500 0.500
Au 0.750 0.750 0.750

The calculated volume is 16.5 Å³/atom. Its formation energy is 0.14 eV per atom.

***

2.
Here is CsSn3Hg after structural relaxation from the Alexandria database. Energies are from GGA-PBEsol.

Cell: 5.686 5.686 5.686 Å, 90.00 90.00 90.00°
Sites, in units of the cell vectors:
Cs 0.000 0.000 0.000
Sn 0.000 0.500 0.500
Sn 0.500 0.000 0.500
Sn 0.500 0.500 0.000
Hg 0.500 0.500 0.500

The calculated volume is 36.8 Å³/atom. Its formation energy is 0.28 eV per atom.

***

3.
Here is CaFeHg after structural relaxation from the Alexandria database. Energies are from GGA-PBEsol.

Cell: 4.695 4.695 4.695 Å, 60.00 60.00 60.00°
Sites, in units of the cell vectors:
Ca 0.000 0.000 0.000
Fe 0.500 0.500 0.500
Hg 0.250 0.250 0.250

The calculated volume is 24.4 Å³/atom. Its formation energy is 0.48 eV per atom.

***

4.
Here is YPdIN2 after structural relaxation from the Alexandria database. Energies are from GGA-PBEsol.

Cell: 4.188 4.188 5.004 Å, 90.00 90.00 90.00°
Sites, in units of the cell vectors:
Y 0.000 0.000 0.000
Pd 0.500 0.500 0.500
I 0.500 0.500 0.000
N 0.000 0.500 0.500
N 0.500 0.000 0.500

The calculated volume is 17.5 Å³/atom. Its energy relative to the elements, uncorrected is 0.79 eV/atom.

***

5.
Here is Ir3Os after structural relaxation from the Alexandria database. Energies are from GGA-PBEsol.

Cell: 2.726 2.726 8.751 Å, 90.00 90.00 120.00°
Sites, in units of the cell vectors:
Ir 0.000 0.000 0.000
Ir 0.333 0.667 0.255
Ir 0.333 0.667 0.745
Os 0.000 0.000 0.500

The calculated volume is 14.1 Å³/atom. Its formation energy is 0.04 eV per atom.

***

6.
Here is LiTi2Te4 after structural relaxation from the Alexandria database. Energies are from GGA-PBEsol.

Cell: 7.827 7.827 6.541 Å, 114.43 114.43 27.86°
Sites, in units of the cell vectors:
Li 0.000 0.000 0.000
Ti 0.249 0.249 0.261
Ti 0.751 0.751 0.739
Te 0.124 0.124 0.465
Te 0.370 0.370 0.042
Te 0.630 0.630 0.958
Te 0.876 0.876 0.535

The calculated volume is 24.2 Å³/atom. Its energy relative to the elements, uncorrected is -0.79 eV/atom.

***

| no. | total DFT energy (no corrections) (Ry per atom) |
| --- | --- |
| 1 | -0.3945 |
| 2 | -0.1898 |
| 3 | -0.2503 |
| 4 | -0.4061 |
| 5 | -0.7628 |
| 6 | -0.4016 |

----------

No. 1
## LaY2Cu (PBE)

Data for an optimized crystal structure of LaY2Cu.

Calculated values
Total magnetization, μB/cell: 0.0
Density, g/cm³: 5.6
Total DFT energy (no corrections), eV per atom: -5.51
Crystal system: monoclinic

abc: 6.537 6.537 5.376
angles: 65.81 65.81 32.67
Fractional coordinates of all 4 atoms:
Cu: 0.491 0.491 0.521
La: 0.208 0.208 0.287
Y: 0.002 0.002 0.996
Y: 0.799 0.799 0.696

=====

No. 2
## La2YCu2 (PBE)

Data for an optimized crystal structure of La2YCu2.

Calculated values
Total magnetization, μB/cell: 0.0
Density, g/cm³: 6.3
Total DFT energy (no corrections), eV per atom: -5.02
Crystal system: tetragonal

abc: 8.204 8.204 3.886
angles: 90.00 90.00 90.00
Fractional coordinates of all 10 atoms:
Y: 0.000 0.000 0.000
Y: 0.500 0.500 0.000
Cu: 0.379 0.879 0.000
Cu: 0.879 0.621 0.000
Cu: 0.621 0.121 0.000
Cu: 0.121 0.379 0.000
La: 0.168 0.668 0.500
La: 0.668 0.832 0.500
La: 0.832 0.332 0.500
La: 0.332 0.168 0.500

=====

No. 3
## LaY2Cu2 (PBE)

Data for an optimized crystal structure of LaY2Cu2.

Calculated values
Total magnetization, μB/cell: 0.0
Density, g/cm³: 5.7
Total DFT energy (no corrections), eV per atom: -5.26
Crystal system: tetragonal

abc: 4.800 4.800 6.533
angles: 68.45 68.45 90.00
Fractional coordinates of all 5 atoms:
Y: 0.750 0.250 0.500
Y: 0.250 0.750 0.500
Cu: 0.394 0.394 0.213
Cu: 0.606 0.606 0.787
La: 0.000 0.000 0.000
........

1.
Here is CrAu3 after structural relaxation from the Alexandria database. Energies are from GGA-PBEsol.

Cell: 4.532 4.532 4.532 Å, 60.00 60.00 60.00°
Sites, in units of the cell vectors:
Cr 0.000 0.000 0.000
Au 0.250 0.250 0.250
Au 0.500 0.500 0.500
Au 0.750 0.750 0.750

The calculated volume is 16.5 Å³/atom. Its formation energy is 0.14 eV per atom.

***

2.
Here is CsSn3Hg after structural relaxation from the Alexandria database. Energies are from GGA-PBEsol.

Cell: 5.686 5.686 5.686 Å, 90.00 90.00 90.00°
Sites, in units of the cell vectors:
Cs 0.000 0.000 0.000
Sn 0.000 0.500 0.500
Sn 0.500 0.000 0.500
Sn 0.500 0.500 0.000
Hg 0.500 0.500 0.500

The calculated volume is 36.8 Å³/atom. Its formation energy is 0.28 eV per atom.

***

3.
Here is CaFeHg after structural relaxation from the Alexandria database. Energies are from GGA-PBEsol.

Cell: 4.695 4.695 4.695 Å, 60.00 60.00 60.00°
Sites, in units of the cell vectors:
Ca 0.000 0.000 0.000
Fe 0.500 0.500 0.500
Hg 0.250 0.250 0.250

The calculated volume is 24.4 Å³/atom. Its formation energy is 0.48 eV per atom.

***

4.
Here is YPdIN2 after structural relaxation from the Alexandria database. Energies are from GGA-PBEsol.

Cell: 4.188 4.188 5.004 Å, 90.00 90.00 90.00°
Sites, in units of the cell vectors:
Y 0.000 0.000 0.000
Pd 0.500 0.500 0.500
I 0.500 0.500 0.000
N 0.000 0.500 0.500
N 0.500 0.000 0.500

The calculated volume is 17.5 Å³/atom. Its energy relative to the elements, uncorrected is 0.79 eV/atom.

***

5.
Here is Ir3Os after structural relaxation from the Alexandria database. Energies are from GGA-PBEsol.

Cell: 2.726 2.726 8.751 Å, 90.00 90.00 120.00°
Sites, in units of the cell vectors:
Ir 0.000 0.000 0.000
Ir 0.333 0.667 0.255
Ir 0.333 0.667 0.745
Os 0.000 0.000 0.500

The calculated volume is 14.1 Å³/atom. Its formation energy is 0.04 eV per atom.

***

6.
Here is LiTi2Te4 after structural relaxation from the Alexandria database. Energies are from GGA-PBEsol.

Cell: 7.827 7.827 6.541 Å, 114.43 114.43 27.86°
Sites, in units of the cell vectors:
Li 0.000 0.000 0.000
Ti 0.249 0.249 0.261
Ti 0.751 0.751 0.739
Te 0.124 0.124 0.465
Te 0.370 0.370 0.042
Te 0.630 0.630 0.958
Te 0.876 0.876 0.535

The calculated volume is 24.2 Å³/atom. Its energy relative to the elements, uncorrected is -0.79 eV/atom.

***

| no. | total DFT energy (no corrections) (Ry per atom) |
| --- | --- |
| 1 | -0.3945 |
| 2 | -0.1898 |
| 3 | -0.2503 |
| 4 | -0.4061 |
| 5 | -0.7628 |
| 6 | -0.4016 |

----------

No. 1
## LaY2Cu (PBE)

Data for an optimized crystal structure of LaY2Cu.

Calculated values
Total magnetization, μB/cell: 0.0
Density, g/cm³: 5.6
Total DFT energy (no corrections), eV per atom: -5.51
Crystal system: monoclinic

abc: 6.537 6.537 5.376
angles: 65.81 65.81 32.67